
BOB LAZAR: AREA 51 & FLYING SAUCERS: One Small Step For Man, One Giant Leap To Conclusions

Molecular data from another source follow >
┌──
# 1
C4H6N2O | ωB97M-V/def2-TZVPD

```
13
Properties=species:S:1:pos:R:3
N -0.95 -0.59 1.53
C -0.19 -0.37 0.44
C -0.06 0.93 -0.29
O -1.22 1.73 -0.21
C 0.67 0.68 -1.58
C 1.16 -0.55 -1.38
N 0.64 -1.19 -0.14
H -1.66 0.11 1.71
H -0.62 -1.10 2.33
H -1.19 2.29 -0.99
H 0.74 1.38 0.33
H 1.86 -1.17 -1.93
H 0.82 -2.14 0.18
```

For the HOMO energy, the calculation gives -7.424 eV. The largest force on an atom is 0.4 eV/Å. As for the gap between HOMO and LUMO: 7.8 eV. The spin multiplicity is 1.

These are the Löwdin partial charges, in e, on atoms 1 to 4: N 0.181; C -0.297; C -0.417; O -0.031

***

# 2
C2H14O6 | ωB97M-V/def2-TZVPD

```
22
Properties=species:S:1:pos:R:3
C 2.27 -2.24 -1.79
C 1.68 -1.12 -1.35
O 0.80 -1.19 -0.30
H 2.83 -2.36 -2.69
H 2.17 -3.21 -1.34
H 1.87 -0.18 -1.84
H 0.45 -0.28 -0.31
O 0.33 1.05 1.41
H 1.27 1.15 1.53
H 0.00 1.94 1.66
O -0.35 3.76 0.37
H -1.00 4.29 0.83
H -0.83 3.33 -0.35
O -1.97 1.42 -0.45
H -2.00 0.88 -1.22
H -2.56 1.05 0.22
O -2.01 -1.27 -0.94
H -1.08 -1.57 -0.82
H -2.49 -1.71 -0.26
O 0.17 -1.19 2.94
H -0.01 -0.54 2.24
H 0.45 -1.99 2.48
```

As for the SMILES: C=CO.O.O.O.O.O. For the HOMO energy, the calculation gives -9.341 eV. The largest force on an atom is 2.5 eV/Å. As for the gap between HOMO and LUMO: 9.8 eV. The spin multiplicity is 1.

These are the Löwdin partial charges, in e, on atoms 1 to 4: C 0.015; C -0.247; O -0.052; H 0.045

***

# 3
F6KP | ωB97M-V/def2-TZVPD

```
8
Properties=species:S:1:pos:R:3
K 8.51 0.34 -5.23
P 10.32 -0.80 -2.51
F 8.81 -1.37 -2.48
F 10.92 -2.25 -2.29
F 10.31 -1.05 -4.16
F 11.77 -0.15 -2.68
F 9.66 0.71 -2.79
F 10.31 -0.50 -0.95
```

For the HOMO energy, the calculation gives -12.200 eV. The largest force on an atom is 0.6 eV/Å. As for the gap between HOMO and LUMO: 11.1 eV. The spin multiplicity is 1.

These are the Löwdin partial charges, in e, on atoms 1 to 4: K 0.990; P 0.124; F -0.172; F -0.119

***

# 4
C3H6OS | ωB97M-V/def2-TZVPD

```
11
Properties=species:S:1:pos:R:3
C 1.13 -0.29 -0.09
C -0.12 -1.17 -0.08
S -1.74 -0.18 -0.23
C -0.79 1.32 0.05
O 0.60 1.04 -0.41
H 1.44 -0.15 0.95
H 1.90 -0.64 -0.79
H -0.30 -1.68 0.93
H -0.16 -1.89 -0.92
H -1.15 2.14 -0.55
H -0.81 1.51 1.14
```

As for the SMILES: C1CSCO1. For the HOMO energy, the calculation gives -8.716 eV. The largest force on an atom is 3.6 eV/Å. As for the gap between HOMO and LUMO: 9.7 eV. The spin multiplicity is 1.

These are the Löwdin partial charges, in e, on atoms 1 to 4: C -0.211; C -0.406; S 0.808; C -0.479

----------

No. 1
14 unconnected molecules or ions with the total composition C26H80N10O14 at a distorted geometry. Source: the OMol25 dataset; level of theory: ωB97M-V/def2-TZVPD.

The geometry in XYZ format:
```
130
Properties=species:S:1:pos:R:3:forces:R:3:mulliken_charge:R:1
H -1.369 13.482 -18.389 -0.3 -0.3 -0.1 0.210
H -1.775 17.810 -14.104 -0.3 0.3 -1.1 0.455
C -4.939 17.179 -10.934 -3.4 6.2 2.0 0.499
O -2.827 12.856 -10.345 -3.2 1.2 -8.6 -0.348
H -1.253 12.367 -14.185 -0.6 -0.2 0.2 -0.929
└──

Bob Lazar: Area 51 & Flying Saucers takes for face value the fact that UFOs exist is the least of its problems – the poor quality of filming and story do far more damage at derailing the narrative.

TRUST MACHINE:THE STORY OF BLOCKCHAIN: Ready for the Next Wave of Internet?

Trust Machine: The Story of Blockchain from director Alex Winter is a ride worth taking and asking how will you imagine the world.

THE AMERICAN MEME: The Fleeting Nature Of Fame Awaits

Anyone outside of the teenage demographic will be left rather annoyed with The American Meme, not by Marcus’ talents but the talents within the documentary itself.

THE OWL’S LEGACY: Chris Marker’s Immense & Long-Unavailable Series Released
THE OWL’S LEGACY: Chris Marker’s Immense & Long-Unavailable Series Released

The Owl’s Legacy never offers easy answers or revelations, but a constant exploration, which makes it an ideal pedagogical tool.

No Earnest, Literal Documentaries: Interview With Maxim Pozdorovkin, Director Of THE TRUTH ABOUT KILLER ROBOTS
THE TRUTH ABOUT KILLER ROBOTS: The Stylized Paranoia Of Our Contemporary Dystopia

The Truth About Killer Robots is an essential part of the ever-evolving debate as to where our civilization currently is, and where it may ultimately be heading.

No Earnest, Literal Documentaries: Interview With Maxim Pozdorovkin, Director Of THE TRUTH ABOUT KILLER ROBOTS
No Earnest, Literal Documentaries: Interview With THE TRUTH ABOUT KILLER ROBOTS Director Maxim Pozdorovkin

Matthew Roe interviews Maxim Pozdorovkin on his latest foreboding documentary, focused on artificial intelligence and automation.

THE LAST RACE is a Straight Winner
THE LAST RACE: A Straight Winner

The Last Race is a beautiful documentary that is, able to move between overtly stylized and ethnographic motifs while still remaining a unified piece.

Unrelated to this article: records of molecules:
-- begin --
No. 1
25
Properties=species:S:1:pos:R:3:forces:R:3:lowdin_charge:R:1 method="wB97M-V/def2-TZVPD" lumo_energy_ev=2.04 e_homo_ev=-3.8 charge=-1
C 4.177211 -0.380179 0.556079 0.03 -0.01 -0.02 -0.117
C 3.528122 -0.243718 -0.849555 -0.05 -0.06 0.14 -0.183
B 2.028294 0.196257 -0.588092 -0.20 0.01 -0.02 -0.363
O 1.815057 1.565165 -0.702892 -0.30 0.06 0.23 0.093
B 0.774681 -0.932340 -0.126840 0.19 -0.01 0.32 -0.553
O 0.102244 -0.684448 1.235202 0.22 0.10 -0.31 -0.101
C -1.240842 -0.428018 1.003192 0.08 0.09 -0.03 -0.322
C -1.523458 -1.028183 -0.366313 0.09 0.80 -0.10 -0.719
Br -1.905165 -3.021138 -0.144430 -0.16 -0.38 0.03 0.516
O -0.423133 -0.779303 -1.080618 0.10 -0.44 -0.03 -0.090
H 4.560331 -1.385303 0.736754 0.04 0.01 -0.03 0.062
H 5.003031 0.322060 0.684126 0.00 0.00 0.01 0.059
H 3.463831 -0.179475 1.361073 -0.02 0.00 -0.01 0.069
H 4.088439 0.467463 -1.463842 0.01 -0.01 0.00 0.080
H 3.538844 -1.218586 -1.340998 0.05 0.03 -0.06 0.083
H 0.912876 1.763412 -0.411141 0.25 -0.08 -0.19 0.086
H 1.202395 -2.094123 -0.144159 -0.11 0.08 -0.06 0.083
H -1.425567 0.661684 0.875708 -0.15 -0.02 0.11 0.114
H -1.882400 -0.792161 1.809334 0.01 -0.09 -0.01 0.090
H -2.425820 -0.687346 -0.867144 -0.03 -0.14 0.08 0.013
C -4.998464 1.795422 -0.061737 -0.04 -0.05 0.03 -1.646
Br -4.138351 1.348585 -1.714597 -0.02 0.09 -0.13 0.623
Br -4.904171 0.340765 1.186260 0.00 -0.04 0.03 0.607
Br -4.285793 3.418806 0.688034 0.01 0.05 0.02 0.556
H -6.042193 1.974701 -0.273404 0.01 0.01 0.00 -0.037

No. 2
55
Properties=species:S:1:pos:R:3:forces:R:3:lowdin_charge:R:1 method="wB97M-V/def2-TZVPD" lumo_energy_ev=4.81 e_homo_ev=-2.0 charge=-2
Cd -1.216882 0.287607 -0.146722 -0.19 2.43 0.54 1.361
S -0.228669 1.602444 1.947202 2.41 2.53 4.40 0.182
O 0.709442 1.177341 2.994633 -0.09 -1.57 -0.61 -0.389
O -1.451113 0.773737 1.863394 -1.97 -0.15 2.57 -0.482
O -0.448689 3.014503 2.285506 -1.55 0.54 -1.19 -0.414
O 0.299096 1.437708 0.588344 2.97 1.50 -1.30 -0.481
S -0.904253 -1.828315 -1.606451 0.47 -0.97 -2.44 0.195
O -1.816774 -1.885271 -2.747097 -0.43 0.07 -0.43 -0.404
O -1.706479 -1.572945 -0.382679 -2.04 -4.66 1.12 -0.502
O -0.044208 -2.994359 -1.557905 0.11 -0.28 0.61 -0.370
O -0.104588 -0.562548 -1.650822 1.98 -0.41 -2.24 -0.486
C -4.398952 0.236467 0.579786 0.25 -0.07 0.01 -0.090
C -3.956677 0.624845 -0.832716 -0.64 0.07 0.32 -0.265
N -2.776627 1.513489 -0.904177 -1.92 0.54 -1.23 -0.273
C -2.989270 2.759571 -0.165595 0.62 0.99 0.52 -0.259
C -3.976451 3.747530 -0.771189 -0.98 -0.30 -0.34 -0.087
C -2.447502 1.697422 -2.348970 0.10 0.51 0.07 -0.243
C -1.253514 2.625311 -2.527176 -0.17 0.45 0.41 -0.081
H -5.190332 -0.500950 0.431758 -0.05 -0.01 0.30 0.072
H -4.753147 1.048224 1.217288 -0.25 0.18 -0.36 0.066
H -3.594926 -0.203030 1.169028 0.08 -0.25 -0.23 0.050
H -3.771810 -0.302066 -1.378174 0.49 0.08 -0.03 0.104
H -4.817431 1.075660 -1.349329 0.03 0.24 -0.03 0.102
H -2.030732 3.263021 -0.006283 0.15 -0.10 -0.43 0.107
H -3.210586 2.579732 0.886228 -0.36 -0.58 -0.18 0.106
-- stop --

“How Do I Suspend The Meaning Of Blackness?” Interview With HALE COUNTY THIS MORNING, THIS EVENING Director RaMell Ross

We spoke with RaMell Ross, director of Hale County This Morning, This Evening, about the fluidity of documentary, the representation of blackness, and more.

HALE COUNTY THIS MORNING, THIS EVENING: The Beautiful Power of the Everyday
HALE COUNTY THIS MORNING, THIS EVENING: The Beautiful Power of the Everyday

Hale County This Morning, This Evening is a staggering achievement of filmmaking, and an essential American text.

Shirkers: The Catcher Among the Durians
SHIRKERS: The Catcher Among The Durians

The unbelieveable true story of Shirkers offers a bittersweet end to a decades long saga in the life of independent filmmaker Sandi Tan.

ON HER SHOULDERS: Inherently Powerful Documentary Exposes Wrongheaded Media Portrayal
ON HER SHOULDERS: Powerful Documentary Exposes Wrongheaded Media Portrayal

The life story of activist Nadia Murad is told in On Her Shoulders with a lack of sensationalism, focusing more on her cause than the tragedy.

TRANSFORMER: A Transformative Transition
TRANSFORMER: A Transformative Transition

Transformer tells a touching story of the human spirit so moving, it’ll feel like a weight off your own shoulders while watching.

"The Human Experience Is Complicated And Difficult." Interview With Frederick Wiseman, Legendary Director Of MONROVIA, INDIANA
“The Human Experience Is Complicated And Difficult.” Interview With Frederick Wiseman, Legendary Director Of MONROVIA, INDIANA

We were able to talk with legendary director Frederick Wiseman about his upcoming documentary Monrovia, Indiana and his large body of work.

DARK MONEY: A Must See Around The US Midterm Election
DARK MONEY: A Must See Around The US Midterm Election

Dark Money does provide some hope, but the film falls short in helping the viewer to understand how he/she can be empowered to make a difference.

Combating Trauma Through Art: Interviews With Jeffrey Wright & Vainuupo Avegalio Of WE ARE NOT DONE YET
Combating Trauma Through Art: Interviews With Jeffrey Wright & Vainuupo Avegalio Of WE ARE NOT DONE YET

We were able to speak with Jeffrey Wright and Vainuupo ‘A.V.’ Avegalio, who are both involved with the documentary We Are Not Done Yet.